Job
Next, restate only the lines below with the word "molecular" in them.
Source
- - -
No. 1
DFT (ωB97M-V/def2-TZVPD) results for a 2-piece molecular cluster, C4H7NO2 overall.

Output
- Kohn-Sham gap: 9.238 eV
- Highest occupied orbital energy: -8.393 eV
- Total charge: 0
- LUMO: 0.845 eV
- SMILES: C/C=C/O.N=C=O

XYZ file:
```
14
Properties=species:S:1:pos:R:3:lowdin_charge:R:1
C 1.09209 1.43989 0.79953 -0.1556
C 1.13054 0.14974 0.20866 -0.2121
C 0.33038 -0.18952 -0.84219 -0.2601
O 0.51817 -1.35943 -1.49123 -0.0353
H 0.23619 2.16488 0.44849 0.1170
H 0.80592 1.19925 1.89202 0.1006
H 2.00209 2.02843 0.78811 0.0630
H 1.99887 -0.51374 0.41408 0.1251
H -0.55010 0.33976 -1.24888 0.1207
H 1.41403 -1.76626 -1.27161 0.1375
N -2.74564 -0.75266 -0.35741 0.2009
C -1.90483 -1.07040 0.45642 -0.4271
O -1.36210 -1.24503 1.48401 0.1385
H -2.96559 -0.42491 -1.28000 0.0868
```



No. 2
DFT (ωB97M-V/def2-TZVPD) results for C5H12N2S as an isolated structure.

Output
- Kohn-Sham gap: 8.747 eV
- Highest occupied orbital energy: -8.675 eV
- Total charge: 0
- LUMO: 0.072 eV

XYZ file:
```
20
Properties=species:S:1:pos:R:3:lowdin_charge:R:1
C -0.75002 0.20695 -2.55104 -0.1008
C -0.95636 -0.06429 -1.08236 -0.4685
C -0.05349 -0.35922 0.76189 -0.3950
C 1.17399 -0.02134 1.56633 -0.4433
C -0.45896 0.84869 -0.09095 -0.7282
H 0.41444 0.17346 -2.73576 0.0806
H -1.10044 1.45783 -2.61133 0.1318
H -1.36620 -0.42633 -3.57257 0.1578
H -1.94400 -0.34788 -0.77417 0.1212
H 1.00990 -1.07098 -0.95313 0.1136
H -0.80841 -0.78175 1.40886 0.1188
H 1.89768 0.50252 0.93771 0.1081
H 0.77028 0.97939 2.01847 0.1431
H 2.80741 -1.73947 1.49862 0.2670
H 0.82378 -1.76540 2.69244 0.1476
H 0.46186 1.36684 -0.29263 0.0822
H -2.05255 1.14732 1.61035 0.0525
N 0.01877 -1.26618 -0.50953 0.0518
N 1.67776 -1.09362 2.25190 -0.0804
S -1.56544 2.25345 0.42690 0.6400
```



No. 3
DFT (ωB97M-V/def2-TZVPD) results for C16H22CdI2N4O2S2 as an isolated structure.

Output
- Kohn-Sham gap: 4.981 eV
- Highest occupied orbital energy: -5.060 eV
- Total charge: 0
- LUMO: -0.079 eV

XYZ file:
```
49
Properties=species:S:1:pos:R:3:lowdin_charge:R:1
Cd 0.00000 0.00000 0.00000 1.2249
I -2.31348 1.40206 6.77772 0.8257
C -2.06724 1.29092 4.71712 -0.7811
C -2.32965 2.39589 3.92534 -0.2510
C -2.15761 2.30655 2.53417 -0.5866
I -2.58453 4.10382 1.45684 0.7832
C -1.72590 1.12521 1.86893 -0.4915
O -1.56266 1.02740 0.60521 -0.3587
C -1.46021 0.02343 2.73366 -0.1580
C -0.97397 -1.30195 2.15698 -0.1597
N 0.33229 -1.27301 1.51090 -0.3434
C 1.41476 -0.73192 2.32001 -0.1835
C 1.83693 0.66139 1.90802 -0.2484
C 2.52226 1.48392 2.80107 -0.0004
C 2.90088 2.75865 2.38683 -0.0576
C 2.56609 3.18339 1.10666 -0.0499
C 1.89474 2.29860 0.28062 -0.1178
N 1.58138 1.03978 0.63507 -0.1530
C -1.63501 0.10929 4.13284 -0.1330
H -2.66391 3.32617 4.37075 0.0683
H -0.95325 -2.06427 2.94671 0.1209
H -1.72186 -1.66100 1.43857 0.1230
H 0.58945 -2.20890 1.11798 -0.0178
H 1.18345 -0.76759 3.39143 0.1409
H 2.29417 -1.37438 2.18415 0.1106
H 2.73838 1.14526 3.80690 0.1159
H 3.42219 3.42352 3.06655 0.1063
H 2.80113 4.18209 0.76275 0.1041
H 1.57043 2.57963 -0.71572 0.0775
H -1.42295 -0.76015 4.74685 0.0906
N -0.92725 1.42227 -3.22246 0.0790
C -0.35749 0.23020 -2.96539 -0.9937
N -1.05923 -0.83813 -3.38728 0.0837
S 1.09423 0.08896 -2.19037 0.6610
H -1.81306 1.51615 -3.69489 0.1080
H -0.44969 2.26612 -2.93040 0.0857
H -1.94583 -0.75959 -3.86100 0.1033
H -0.68495 -1.76483 -3.22441 0.0939
C 1.95510 -3.21528 1.01218 -0.2061
S 1.61309 -1.84245 -0.11548 0.7128
C 2.63785 -2.46189 -1.47163 -0.2679
O 2.28844 -0.62366 0.43992 -0.5710
H 3.02977 -3.28965 1.19445 0.0886
H 1.58297 -4.14570 0.57718 0.0863
H 1.43954 -3.02648 1.95670 0.0671
H 2.24192 -3.41859 -1.82004 0.0595
H 3.66995 -2.58330 -1.13407 0.0606
H 2.60686 -1.73849 -2.28972 -0.0270
H -0.67080 1.35908 -0.88733 -0.0246
```

=====

# 1
An isolated molecule of C4H7FO2 at a distorted geometry. Source: OMol25; level of theory: ωB97M-V/def2-TZVPD.

Properties
E_tot	-406.899282	Eh
SMILES	OC[C@]1(F)C[C@@H]1O
E_LUMO	0.50	eV
HOMO	-9.39	eV
max |F|	2.3	eV/A
HOMO-LUMO gap	9.9	eV

```
14
- - -
Written answer
DFT (ωB97M-V/def2-TZVPD) results for a 2-piece molecular cluster, C4H7NO2 overall.